┌──
{"formula": "C3H6N2O", "method": "ωB97M-V/def2-TZVPD", "elements": ["C", "C", "C", "N", "N", "O", "H", "H", "H", "H", "H", "H"], "positions_angstrom": [[-3.048275, -0.361219, 0.079125], [1.193158, -0.840063, -0.202326], [1.148151, 0.201698, -1.250641], [-2.215591, 0.553306, 0.005143], [-1.435381, 1.366692, -0.099782], [0.404731, -1.732329, -0.099958], [-2.712018, -1.323241, -0.275665], [-3.962180, -0.317561, 0.731196], [1.923288, -0.914148, 0.587767], [1.483702, 1.121677, -0.930052], [0.157393, 0.261193, -1.690276], [1.986746, -0.278221, -1.943462]], "forces_ev_per_angstrom": [[-3.1, -3.0, 1.0], [-0.6, -0.1, 1.0], [1.5, -3.0, -1.6], [1.9, 2.5, 0.0], [-0.1, 0.1, 0.0], [-1.6, -1.1, -0.6], [0.0, 0.0, -0.1], [1.2, 0.4, -0.9], [1.4, 1.0, 0.1], [0.8, 2.0, 0.7], [0.3, -0.2, -0.3], [-1.8, 1.4, 0.7]], "homo_energy_ev": -8.67, "molar_mass_g_mol": 86.094, "fmax_ha_per_bohr": 0.086}



{"formula": "C3H6N2O", "method": "ωB97M-V/def2-TZVPD", "elements": ["C", "N", "C", "N", "C", "O", "H", "H", "H", "H", "H", "H"], "positions_angstrom": [[1.127611, 0.428282, -1.152486], [-0.300074, 0.509252, -1.401541], [-1.104094, 0.398560, -0.435454], [-0.733201, 0.184209, 0.933665], [-0.430599, -1.065144, 1.418199], [0.153237, -1.273155, 2.457221], [1.407592, 0.252539, -0.106669], [1.548540, -0.368099, -1.772678], [1.579157, 1.366852, -1.484389], [-2.173577, 0.486828, -0.628819], [-0.288565, 0.954455, 1.419541], [-0.786027, -1.874579, 0.753411]], "forces_ev_per_angstrom": [[0.2, 0.0, 0.0], [-0.2, 0.0, 0.4], [0.1, 0.0, -0.3], [0.1, -0.1, 0.1], [0.1, 0.1, 0.1], [-0.2, 0.1, -0.3], [0.0, 0.0, -0.2], [-0.1, 0.1, 0.0], [0.0, -0.1, 0.0], [0.1, -0.1, 0.0], [-0.1, -0.1, 0.1], [0.0, 0.1, 0.1]], "homo_energy_ev": -10.25, "molar_mass_g_mol": 86.094, "fmax_ha_per_bohr": 0.009, "smiles": "C/N=C\\NC=O"}



{"formula": "C3H6N2O", "method": "ωB97M-V/def2-TZVPD", "elements": ["C", "C", "C", "H", "H", "H", "H", "H", "H", "N", "N", "O"], "positions_angstrom": [[0.957642, -0.738316, 0.014258], [-0.533672, -1.353317, -0.185773], [-1.356436, -0.243821, -0.512743], [-0.194759, 2.432495, 0.143750], [-0.373984, 0.587719, 1.110821], [2.061632, 0.804111, 0.473089], [-0.908591, -2.481597, -0.002578], [-2.340845, -0.534107, -1.177724], [-0.713075, 0.911996, -0.584203], [0.265981, 1.535647, 0.785136], [1.246578, 0.691852, -0.200575], [1.889527, -1.612662, 0.136542]], "forces_ev_per_angstrom": [[1.9, -5.2, -0.4], [-0.9, 4.0, 0.4], [1.0, -1.9, -3.2], [1.1, -3.9, 2.3], [1.3, 4.5, -0.9], [-0.6, -0.2, -1.8], [1.5, 2.9, -0.6], [2.1, 1.2, 2.3], [-3.2, -4.2, -0.5], [-0.6, -1.2, -1.4], [-0.3, -0.3, 4.1], [-3.2, 4.2, -0.4]], "homo_energy_ev": -9.85, "molar_mass_g_mol": 86.094, "fmax_ha_per_bohr": 0.107, "smiles": "C=CC(=O)NN"}



{"formula": "C3H6N2O", "method": "ωB97M-V/def2-TZVPD", "elements": ["N", "C", "C", "O", "C", "N", "H", "H", "H", "H", "H", "H"], "positions_angstrom": [[-2.192497, -1.228156, 0.494453], [-1.308132, -0.804529, -0.366072], [1.454053, 1.196445, 0.260222], [0.942732, 0.149970, 1.020610], [2.112995, 0.707382, -0.982159], [2.588663, 0.293258, -1.957216], [-2.015059, -1.105447, 1.488266], [-3.069526, -1.698112, 0.276449], [-1.669574, -1.026788, -1.385271], [0.681976, 1.923698, -0.050097], [2.196684, 1.740052, 0.859816], [0.192848, -0.231729, 0.474307]], "forces_ev_per_angstrom": [[0.1, 0.1, 0.1], [-0.4, -0.2, 0.0], [0.2, 0.3, -0.1], [-0.2, -0.1, -0.1], [0.6, -0.5, -1.2], [-0.6, 0.6, 1.4], [0.0, 0.0, -0.2], [0.2, 0.1, -0.1], [0.0, 0.0, 0.2], [0.2, -0.2, 0.1], [-0.1, -0.1, -0.2], [0.1, 0.0, 0.2]], "homo_energy_ev": -9.52, "molar_mass_g_mol": 86.094, "fmax_ha_per_bohr": 0.031}


(1)
Below is a 2-piece molecular cluster, C3H4N2O2S overall in a non-equilibrium geometry, with properties calculated with ωB97M-V/def2-TZVPD.

XYZ file:
```
12
Properties=species:S:1:pos:R:3
C 0.22 0.90 0.03
C -1.63 -0.53 -0.20
C 0.64 -0.45 -0.04
H 1.74 2.06 -0.77
H -1.74 1.51 -0.38
H -0.40 -2.48 0.74
H 2.56 -0.74 1.09
N -1.13 0.71 -0.06
N -0.56 -1.30 -0.27
O 0.89 2.05 0.01
O -2.87 -0.73 0.01
└──

Give back all of the rows further above word for word.

{"formula": "C3H6N2O", "method": "ωB97M-V/def2-TZVPD", "elements": ["C", "C", "C", "N", "N", "O", "H", "H", "H", "H", "H", "H"], "positions_angstrom": [[-3.048275, -0.361219, 0.079125], [1.193158, -0.840063, -0.202326], [1.148151, 0.201698, -1.250641], [-2.215591, 0.553306, 0.005143], [-1.435381, 1.366692, -0.099782], [0.404731, -1.732329, -0.099958], [-2.712018, -1.323241, -0.275665], [-3.962180, -0.317561, 0.731196], [1.923288, -0.914148, 0.587767], [1.483702, 1.121677, -0.930052], [0.157393, 0.261193, -1.690276], [1.986746, -0.278221, -1.943462]], "forces_ev_per_angstrom": [[-3.1, -3.0, 1.0], [-0.6, -0.1, 1.0], [1.5, -3.0, -1.6], [1.9, 2.5, 0.0], [-0.1, 0.1, 0.0], [-1.6, -1.1, -0.6], [0.0, 0.0, -0.1], [1.2, 0.4, -0.9], [1.4, 1.0, 0.1], [0.8, 2.0, 0.7], [0.3, -0.2, -0.3], [-1.8, 1.4, 0.7]], "homo_energy_ev": -8.67, "molar_mass_g_mol": 86.094, "fmax_ha_per_bohr": 0.086}



{"formula": "C3H6N2O", "method": "ωB97M-V/def2-TZVPD", "elements": ["C", "N", "C", "N", "C", "O", "H", "H", "H", "H", "H", "H"], "positions_angstrom": [[1.127611, 0.428282, -1.152486], [-0.300074, 0.509252, -1.401541], [-1.104094, 0.398560, -0.435454], [-0.733201, 0.184209, 0.933665], [-0.430599, -1.065144, 1.418199], [0.153237, -1.273155, 2.457221], [1.407592, 0.252539, -0.106669], [1.548540, -0.368099, -1.772678], [1.579157, 1.366852, -1.484389], [-2.173577, 0.486828, -0.628819], [-0.288565, 0.954455, 1.419541], [-0.786027, -1.874579, 0.753411]], "forces_ev_per_angstrom": [[0.2, 0.0, 0.0], [-0.2, 0.0, 0.4], [0.1, 0.0, -0.3], [0.1, -0.1, 0.1], [0.1, 0.1, 0.1], [-0.2, 0.1, -0.3], [0.0, 0.0, -0.2], [-0.1, 0.1, 0.0], [0.0, -0.1, 0.0], [0.1, -0.1, 0.0], [-0.1, -0.1, 0.1], [0.0, 0.1, 0.1]], "homo_energy_ev": -10.25, "molar_mass_g_mol": 86.094, "fmax_ha_per_bohr": 0.009, "smiles": "C/N=C\\NC=O"}



{"formula": "C3H6N2O", "method": "ωB97M-V/def2-TZVPD", "elements": ["C", "C", "C", "H", "H", "H", "H", "H", "H", "N", "N", "O"], "positions_angstrom": [[0.957642, -0.738316, 0.014258], [-0.533672, -1.353317, -0.185773], [-1.356436, -0.243821, -0.512743], [-0.194759, 2.432495, 0.143750], [-0.373984, 0.587719, 1.110821], [2.061632, 0.804111, 0.473089], [-0.908591, -2.481597, -0.002578], [-2.340845, -0.534107, -1.177724], [-0.713075, 0.911996, -0.584203], [0.265981, 1.535647, 0.785136], [1.246578, 0.691852, -0.200575], [1.889527, -1.612662, 0.136542]], "forces_ev_per_angstrom": [[1.9, -5.2, -0.4], [-0.9, 4.0, 0.4], [1.0, -1.9, -3.2], [1.1, -3.9, 2.3], [1.3, 4.5, -0.9], [-0.6, -0.2, -1.8], [1.5, 2.9, -0.6], [2.1, 1.2, 2.3], [-3.2, -4.2, -0.5], [-0.6, -1.2, -1.4], [-0.3, -0.3, 4.1], [-3.2, 4.2, -0.4]], "homo_energy_ev": -9.85, "molar_mass_g_mol": 86.094, "fmax_ha_per_bohr": 0.107, "smiles": "C=CC(=O)NN"}



{"formula": "C3H6N2O", "method": "ωB97M-V/def2-TZVPD", "elements": ["N", "C", "C", "O", "C", "N", "H", "H", "H", "H", "H", "H"], "positions_angstrom": [[-2.192497, -1.228156, 0.494453], [-1.308132, -0.804529, -0.366072], [1.454053, 1.196445, 0.260222], [0.942732, 0.149970, 1.020610], [2.112995, 0.707382, -0.982159], [2.588663, 0.293258, -1.957216], [-2.015059, -1.105447, 1.488266], [-3.069526, -1.698112, 0.276449], [-1.669574, -1.026788, -1.385271], [0.681976, 1.923698, -0.050097], [2.196684, 1.740052, 0.859816], [0.192848, -0.231729, 0.474307]], "forces_ev_per_angstrom": [[0.1, 0.1, 0.1], [-0.4, -0.2, 0.0], [0.2, 0.3, -0.1], [-0.2, -0.1, -0.1], [0.6, -0.5, -1.2], [-0.6, 0.6, 1.4], [0.0, 0.0, -0.2], [0.2, 0.1, -0.1], [0.0, 0.0, 0.2], [0.2, -0.2, 0.1], [-0.1, -0.1, -0.2], [0.1, 0.0, 0.2]], "homo_energy_ev": -9.52, "molar_mass_g_mol": 86.094, "fmax_ha_per_bohr": 0.031}


(1)
Below is a 2-piece molecular cluster, C3H4N2O2S overall in a non-equilibrium geometry, with properties calculated with ωB97M-V/def2-TZVPD.

XYZ file:
```
12
Properties=species:S:1:pos:R:3
C 0.22 0.90 0.03
C -1.63 -0.53 -0.20
C 0.64 -0.45 -0.04
H 1.74 2.06 -0.77
H -1.74 1.51 -0.38
H -0.40 -2.48 0.74
H 2.56 -0.74 1.09
N -1.13 0.71 -0.06
N -0.56 -1.30 -0.27
O 0.89 2.05 0.01
O -2.87 -0.73 0.01